Now count the lines further below that contain the word "formula" and give the number alone.

____________
1.
H4N3P3 as an isolated structure at a distorted geometry. Source: the OMol25 dataset; level of theory: ωB97M-V with the def2-TZVPD basis set.

```
10
Properties=species:S:1:pos:R:3:forces:R:3
H -1.834840 -2.123462 -0.074184 -1.689 -0.663 1.568
H 0.778823 0.236173 1.603423 0.086 -0.187 0.882
N -1.225794 -1.954903 -0.811454 2.527 1.641 -0.867
N 0.598327 -0.109093 -1.524789 -0.253 1.314 -0.209
P 0.629110 1.454647 -1.437806 0.243 0.083 1.357
H 1.103768 -1.527421 0.360425 -0.908 0.148 -0.640
P -0.094368 -0.964239 -0.300546 -0.287 -2.332 0.153
H 0.446112 2.555541 0.767677 0.476 1.655 -0.088
P -0.526002 0.601666 1.233297 0.387 -0.438 -0.267
N 0.124864 1.831091 0.183956 -0.581 -1.222 -1.889
```
Forces are in eV/Å.

E_LUMO in eV: -0.7
Orbital gap in eV: 8.0
Relative energy (zero: lowest compared OMol25 entry of this formula, charge and spin) in kJ/mol: 87.8
Charge: 0



2.
C38H28N9O2STi as an isolated structure. Source: the OMol25 dataset; level of theory: ωB97M-V with the def2-TZVPD basis set.

```
79
Properties=species:S:1:pos:R:3:forces:R:3
H 4.731667 -1.864824 3.508732 0.001 0.002 -0.001
H -3.235286 -5.319956 -1.839055 0.000 0.000 -0.001
C 2.271306 -1.573782 -4.086664 -0.002 0.004 -0.018
C -1.651978 3.475816 1.571197 -0.007 -0.001 0.020
C -1.026992 -4.605634 2.711832 0.005 -0.008 -0.006
C -0.656534 4.099897 2.327264 -0.005 0.002 0.002
C 0.774379 2.530414 -0.739039 -0.007 -0.001 0.009
H -0.036029 -5.862218 1.269449 0.001 0.000 -0.001
N -0.782306 1.305763 1.906491 0.015 0.027 -0.003
H 0.682080 5.831717 -1.535109 0.000 0.000 0.000
C -3.085363 -4.297186 -1.517784 -0.005 0.002 0.000
H -1.586587 -2.044659 -4.116576 0.000 -0.004 0.004
C 1.599433 -1.740313 -5.281150 0.003 -0.001 0.005
N -2.764059 1.467013 0.674264 0.005 -0.028 -0.004
C -2.699802 -1.667692 -0.718441 -0.013 -0.002 0.018
C -1.904429 -3.649166 -1.831978 -0.010 0.008 -0.012
C -0.512679 -1.918313 -4.100952 -0.001 0.020 -0.009
C -0.862374 -2.282020 2.233237 -0.008 -0.014 0.006
O 2.883015 1.506004 2.054484 -0.035 -0.003 0.045
C -0.627876 5.472965 2.431285 -0.003 0.002 0.001
C 1.735897 2.580611 0.275479 -0.038 0.000 0.037
C -4.073539 -3.646709 -0.784211 0.005 -0.009 -0.003
H 2.418400 5.908967 0.239697 0.001 -0.001 0.001
H -4.639530 -1.814317 0.175337 -0.001 -0.003 -0.001
C -0.284921 -4.855135 1.570760 -0.005 -0.002 -0.002
C -2.605503 4.261033 0.929137 0.000 0.001 0.000
H 0.731804 -3.921919 -0.091815 0.002 -0.004 -0.005
C 4.966929 -1.156953 0.214965 -0.013 -0.003 -0.010
H -0.306410 -2.042342 -6.217951 0.002 0.001 -0.002
N 3.306444 -1.591068 -1.477106 0.015 0.007 0.030
H -3.328893 6.245363 0.519175 0.000 -0.001 0.000
C 4.476348 -1.797257 2.461026 0.008 0.004 -0.007
S -0.053735 1.087851 -1.355767 -0.050 0.089 -0.033
H 0.085997 3.484252 2.816545 0.001 -0.001 0.000
H -4.993037 -4.160300 -0.537298 0.000 0.001 0.000
Ti 0.459838 -0.772217 -0.148154 0.159 -0.015 0.121
C -1.701612 -2.326366 -1.427799 0.016 -0.014 -0.033
H 3.055906 3.806451 1.400816 0.000 -0.002 0.000
C 0.983710 4.926491 -1.023905 -0.005 -0.002 0.000
C 3.272759 -2.312632 2.004057 -0.005 -0.022 -0.015
C 0.149648 -1.738451 -2.887029 0.018 -0.025 0.016
C 1.537980 -1.570159 -2.907633 0.020 -0.017 0.013
C -1.589689 6.246383 1.777479 0.001 -0.001 0.002
N -0.453529 -1.689583 -1.631953 -0.054 -0.083 -0.010
C -1.111232 -0.862737 2.492486 0.000 -0.013 0.001
N 2.889970 -2.244220 0.734362 0.026 -0.063 0.030
C 3.723777 -1.662990 -0.119268 -0.004 -0.015 -0.012
C 0.141844 -3.782162 0.804078 0.014 0.013 0.016
H 2.143082 -1.733597 -6.215284 -0.001 0.000 0.000
C 1.953650 4.970686 -0.032013 0.002 -0.003 0.001
H -4.289884 4.142785 -0.292319 0.000 0.001 0.001
H -1.896858 -3.054272 3.938552 -0.001 -0.002 0.000
H -1.128387 -4.162826 -2.387011 -0.002 -0.001 0.001
C 2.188746 1.403072 1.075870 0.143 -0.002 -0.145
C 2.316056 3.802620 0.611727 -0.002 0.010 -0.001
C -2.579496 5.649919 1.026066 0.003 -0.001 -0.003
C 0.214964 -1.914611 -5.278194 -0.007 0.001 0.004
N -3.581878 3.606287 0.181951 0.002 -0.002 -0.003
____________

1